Analyzing Reality


What thrives me to be better is the idea of knowing there are existing issues that yet need to be solved. Issues that affect our lives in the greatest manner that in fact can be changed for the better as long as the whole world is on the same page. Refugees in Syria and neighboring countries such as Afghanistan are escaping and are experiencing a fall of current rule. Citizens are being forced to flee from the violence from a place they once called home. Their culture is being taken away from them similar to how mine is taken away from my family. Mexico has been the source of narcotics in recent decades for both their home land and neighbors, us. Social issues root down to the war on drugs and tie in to keeping our economy down and class status stagnant. Last but not least, racism is not a poison that can’t be ignored. It lives and presents itself in the minds of millions still today and continually acts out in form of rage and injustice.

What comes next are crystal structures, not part of the entry:
........
MgAl2H4Pb2O4F6: relaxed, PBE.

Summary:
For the formation energy, the calculation gives -2.4134 eV per atom. Its offset from the most stable computed form is 0.0000 eV per atom.

Unit cell a=5.317 b=6.219 c=7.698 alpha=67.55 beta=89.58 gamma=79.42
Space group P-1 (No. 2)
One atom of each set of equivalent atoms:
Mg (0.000, 0.000, 0.000) (multiplicity 1)
Al (0.178, 0.313, 0.161) (multiplicity 2)
H (0.127, 0.761, 0.599) (multiplicity 2)
H (0.291, 0.674, 0.952) (multiplicity 2)
Pb (0.337, 0.303, 0.623) (multiplicity 2)
O (0.015, 0.646, 0.648) (multiplicity 2)
O (0.128, 0.655, 0.013) (multiplicity 2)
F (0.167, 0.988, 0.236) (multiplicity 2)
F (0.373, 0.272, 0.976) (multiplicity 2)
F (0.470, 0.256, 0.299) (multiplicity 2)
........
Here the entry continues:

Germany and the seemingly inclined Turkey are receiving thousands of refugees each day. The scarcity of good care in the camps they are centralized in is crying for extended resources. They never would have imagined this amount of immigrants seeking asylum in their countries. Nonetheless, the world is crying for our help more and more each day. If we choose to ignore the climate in our reality, we might not see the storm coming. It is our job as students of the collegiate world as well as of life to be conscious of humanities struggles and act in a helping manner. This statement is to bring life to this situation happening around the world from us. No matter the distance, time is not in our favor thus we need to act now.

## Someone pasted crystal structures at this point
********
Computed, not measured: a relaxed Tb2Al3Co crystal at the PBE level of DFT.

a = 5.372 Å, b = 5.372 Å, c = 5.372 Å
α = 61.52°, β = 61.52°, γ = 61.52°
Sites, in units of the cell vectors:
Tb: 0.626 0.626 0.626
Tb: 0.374 0.374 0.374
Al: 0.000 0.500 0.000
Al: 0.500 0.000 0.000
Al: 0.000 0.000 0.500
Co: 0.000 0.000 0.000

Summary:
Its total magnetic moment is 0.000 μB/atom. The calculation puts the total energy at -5.05 eV per atom.

***

Computed, not measured: a relaxed Sr2CuBi2O6 crystal at the PBE level of DFT.

a = 13.019 Å, b = 13.019 Å, c = 5.133 Å
α = 90.00°, β = 90.00°, γ = 155.50°
Sites, in units of the cell vectors:
Sr: 0.575 0.934 0.500
Sr: 0.934 0.575 0.000
Sr: 0.066 0.425 0.000
Sr: 0.425 0.066 0.500
Cu: 0.500 0.000 0.000
Cu: 0.000 0.500 0.500
Bi: 0.663 0.790 0.000
Bi: 0.210 0.337 0.500
Bi: 0.790 0.663 0.500
Bi: 0.337 0.210 0.000
O: 0.748 0.252 0.250
O: 0.748 0.252 0.750
O: 0.599 0.730 0.500
O: 0.624 0.913 0.000
O: 0.087 0.376 0.500
O: 0.270 0.401 0.000
O: 0.376 0.087 0.000
O: 0.252 0.748 0.250
O: 0.252 0.748 0.750
O: 0.730 0.599 0.000
O: 0.913 0.624 0.500
O: 0.401 0.270 0.500

Summary:
Its total magnetic moment is 0.001 μB/atom. The calculation puts the total energy at -5.75 eV per atom.

***

Computed, not measured: a relaxed Eu2Zr2O7 crystal at the PBE level of DFT.

a = 3.690 Å, b = 7.503 Å, c = 10.781 Å
α = 90.00°, β = 90.00°, γ = 90.00°
Sites, in units of the cell vectors:
Eu: 0.500 0.500 0.500
Eu: 0.000 0.750 0.226
Eu: 0.500 0.000 0.500
Eu: 0.000 0.250 0.774
Zr: 0.000 0.250 0.243
Zr: 0.000 0.750 0.757
Zr: 0.500 0.500 0.000
Zr: 0.500 0.000 0.000
O: 0.000 0.473 0.634
O: 0.500 0.750 0.865
O: 0.500 0.250 0.895
O: 0.000 0.023 0.115
O: 0.000 0.477 0.115
O: 0.000 0.523 0.885
O: 0.500 0.250 0.376
O: 0.500 0.750 0.105
O: 0.000 0.973 0.366
O: 0.000 0.027 0.634
O: 0.000 0.527 0.366
O: 0.500 0.750 0.624
O: 0.000 0.977 0.885
O: 0.500 0.250 0.135

Summary:
Its total magnetic moment is 1.091 μB/atom. The calculation puts the total energy at -9.51 eV per atom.
********

Narcotics are deadly. Narcotics help you they say. Narcotics are in the lives of all ages now a days. However, I never would have thought narcotics would reach a level where it would take a piece of me. Culture is subjective and unique to each and every perspective. Mexico has been terrorized by Government corruption as they continue to turn their heads purposefully towards groups of terrorists for the sole purpose of profit. I shouldn’t be scared to visit my family because of something so harmful to society. Drugs in America have been an extremely important issue as of recent years since we continue to see the damage they create. Both individually and in the masses. Yet another issue that deserves attention along with a solution.

We use equality as a face of our country and remain ignoring it in our everyday lives. We shouldn’t get used to or feel comfortable with the idea that at any time a traffic stop can turn into a shooting as was the case of police officer Michael Slager in South Carolina. As a person considered to be a minority, these issues are ones of great importance. Life is too short to accept these atrocities and we need to act now by using our freedom of speech to state the importance of such events that quite frankly need to be attacked and ended.